-- Input --
The following is a DFT calculation (PBE) of a relaxed LiGeSe2 crystal.

```
data_LiGeSe2
_chemical_formula_sum 'Li2 Ge2 Se4'
_cell_length_a 4.771
_cell_length_b 8.099
_cell_length_c 5.090
_cell_angle_alpha 90.00
_cell_angle_beta 90.00
_cell_angle_gamma 90.00
_symmetry_space_group_name_H-M 'P m n 21'
_symmetry_Int_Tables_number 31
loop_
_symmetry_equiv_pos_as_xyz
'x,y,z'
'-x+1/2,-y,z+1/2'
'-x,y,z'
'x+1/2,-y,z+1/2'
loop_
_atom_site_label
_atom_site_fract_x
_atom_site_fract_y
_atom_site_fract_z
Li1 0.000 0.119 0.000
Ge1 0.000 0.630 0.034
Se1 0.000 0.379 0.339
Se2 0.000 0.866 0.309
```

Calculated values
ΔE_f (raw): -602 meV/atom
Final energy: -3.98 eV per atom
Density: 4.01 Mg/m³
Total magnetic moment: 0.00 μB per atom

-- Request --
The reader should find the line further up that holds "_symmetry_Int_Tables_number 31", then echo that line and all lines after it there.

-- Solution --
_symmetry_Int_Tables_number 31
loop_
_symmetry_equiv_pos_as_xyz
'x,y,z'
'-x+1/2,-y,z+1/2'
'-x,y,z'
'x+1/2,-y,z+1/2'
loop_
_atom_site_label
_atom_site_fract_x
_atom_site_fract_y
_atom_site_fract_z
Li1 0.000 0.119 0.000
Ge1 0.000 0.630 0.034
Se1 0.000 0.379 0.339
Se2 0.000 0.866 0.309
```

Calculated values
ΔE_f (raw): -602 meV/atom
Final energy: -3.98 eV per atom
Density: 4.01 Mg/m³
Total magnetic moment: 0.00 μB per atom